Spending hours on public transit, eating from questionable food vendors, staying in grimy hostels – backpacking is dirty and there’s a typical look that most backpackers have.
Crystal structures from another source follow.
+++
(1)
The following is a PBE-GGA calculation of crystalline Tl5P at its relaxed geometry, from the Alexandria database.

Output
For the offset from the most stable computed form, the calculation gives 0.195 eV/f.u. The energy relative to the elements comes out at 131 meV/atom. The density of states at the Fermi level comes out at 0.44 states/eV/atom.

Unit cell a=5.2573 b=4.3347 c=7.9502 alpha=105.82 beta=90.00 gamma=90.00
Atoms (fractional coordinates):
Tl (0.5000, 0.8338, 0.6677)
Tl (0.5000, 0.5000, 0.0000)
Tl (0.0000, 0.6404, 0.2807)
Tl (0.0000, 0.3596, 0.7193)
Tl (0.5000, 0.1662, 0.3323)
P (0.0000, 0.0000, 0.0000)

(2)
The following is a PBE-GGA calculation of crystalline LaSbCl2 at its relaxed geometry, from the Alexandria database.

Output
For the offset from the most stable computed form, the calculation gives 0.247 eV/f.u. The density of states at the Fermi level comes out at 0.06 states/eV/atom. The calculation puts the formation energy (no corrections) at -1.37 eV/atom.

Unit cell a=6.0375 b=6.0375 c=5.2128 alpha=81.43 beta=81.43 gamma=40.65
Atoms (fractional coordinates):
La (0.7500, 0.7500, 0.7500)
Cl (0.4282, 0.4282, 0.5458)
Cl (0.0718, 0.0718, 0.9542)
Sb (0.2500, 0.2500, 0.2500)

(3)
The following is a PBE-GGA calculation of crystalline Y3Ni at its relaxed geometry, from the Alexandria database.

Output
The energy relative to the elements comes out at -149 meV/atom. The density of states at the Fermi level comes out at 1.43 states/eV/atom.

Unit cell a=3.4576 b=3.4576 c=8.7490 alpha=90.00 beta=90.00 gamma=90.00
Atoms (fractional coordinates):
Y (0.0000, 0.0000, 0.5000)
Y (0.5000, 0.5000, 0.8137)
Y (0.5000, 0.5000, 0.1863)
Ni (0.0000, 0.0000, 0.0000)

(4)
The following is a PBE-GGA calculation of crystalline TiTcW at its relaxed geometry, from the Alexandria database.

Output
For the offset from the most stable computed form, the calculation gives 0.487 eV/f.u. The energy relative to the elements comes out at -211 meV/atom. The density of states at the Fermi level comes out at 0.58 states/eV/atom.

Unit cell a=6.2990 b=3.1282 c=9.9767 alpha=90.00 beta=108.97 gamma=90.00
Atoms (fractional coordinates):
Tc (0.9858, 0.5000, 0.1927)
Tc (0.9858, 0.0000, 0.6927)
Tc (0.3212, 0.0000, 0.3625)
Tc (0.3212, 0.5000, 0.8625)
W (0.4807, 0.0000, 0.6949)
W (0.4807, 0.5000, 0.1949)
W (0.1562, 0.5000, 0.5304)
W (0.1562, 0.0000, 0.0304)
Ti (0.6549, 0.5000, 0.5277)
Ti (0.8236, 0.5000, 0.8537)
Ti (0.8236, 0.0000, 0.3537)
Ti (0.6549, 0.0000, 0.0277)
+++
While on the road, I live in dirty jeans, wrinkled shirts and hide my greasy hair under hats or bandanas. I look like a backpacker, there’s no doubt about it.
This is totally acceptable backpacker behavior and as long as my clothes aren’t stinking up the hostel room or bus, I don’t care (and to be honest, if I checked into a hostel looking the same way that I look like when I’m home in Los Angeles, they would send me straight back to LA… And I would deserve it!)
That being said, there are a few times while backpacking where it’s important to look ‘nice.’
You never know when you’re going to be invited to a celebratory dinner at a locals house like I was in Ghana or score tickets to a fancy-schmancy concert like the Minister of Music and Elton John in Costa Rica (which was awesome!)
There may be occasions where your cargo shorts and hiking boots won’t cut it.
So what are you suppose to do? Are you suppose to give up critical room in your pack for ‘church clothes’ that you may or may not wear?
Absolutely not. And little forethought you won’t have to…
Here’s how to not look like a backpacker
Girls who look like backpackers
Easy peasy, ladies. Pack a little sun dress in a dressier color (think red, black, navy.) Trade one of your hippie tie dye sarongs (every backpacker has at least one) for a solid black one to use as a shawl over your little sun dress for a night out (and a beach towel at all other times.)
As for a ‘clutch,’ I travel with a black pleather oversized wallet that is usually stuffed into my fannypack holding my credit cards, money and cellphone. For a night out, I just take it out of my fannypack and vo-la, a clutch.
I only wear jewelry that I have already bought as a gift for my mom or a friend and stashed at the bottom of my pack to give them when I get home. I’ll bust it out of it’s little gift bag or whatever and test drive it for a night (my friends don’t care, they know what’s up.)
The only thing that you can’t easily swap out is shoes. I use to travel with only two pairs of shoes, one pair of flipflops and one pair of hiking/ running shoes which had always been enough for me. But after having to wear my grubby flops to an unexpected Moroccan wedding where everyone else was in heels or dress shoes, I changed my tune.
I now travel with a pair of ittybitty black kitten heels. Heels are the easiest universal symbol to show “This event is important and I care about how I look right now.” My kittens are super comfy and literally take up space equivalent of a cucumber or large carrot in my pack (we got bored and measured it in the hostel once.)
If you are really tight on space or hate heels than by all means, burry a pair of tiny, simple black pleather sandals or ballet flats at the bottom of your bag.
Maybe you’ll never use them and totally forget about them at the bottom of your bag… Okay, that’s still better than having to try to find acceptable heels with hours notice in the middle of Africa.
And there you go, a cute little “look-at-me” outfit that you literally pulled right out of your tough-as-nails and covered-in-mud pack.

Guys who look like backpackers
Y’all have it so easy when it comes to this… It just takes a little bit of preplanning which is where I come in.
Fellas, buy one pair of cargo pants in black (think Dickies) and you’re good.
Make sure one of your long sleeve shirts is a button up (which I’m sure already is because button ups are a backpackers best friend) and try to rock it in a nice plaid or solid color besides black (you don’t want your pants and shirt to both be the same color.)
Pair your black cargos with your button up shirt, sleeves rolled neatly half way up and no one will even notice your Colombia hiking boots.
I would go with black cargos instead of the Go To khaki because black hides dirt waaay better than khaki. It’s no worries after an intense volcano hike on Monday to wear those same pants (presuming they don’t stink) out to a decadent dinner on Tuesday.

Guys and Gals who look like backpackers
Wash your dirty hair. Brush your teeth. If you can’t wash your clothes before the event (understandable if it’s last minute) than at least try to get the stains and stink out (my ‘perfume’ is Lemon Eucalyptus bug spray and mint- which also keeps bugs away- while on the road.)
And if you still look like a backpacker…
Be gracious. Bring a small gift (flowers or a small potted plant is great but if you don’t have time or think it may be inappropriate – or if you’re seriously too broke – take some photos with the group plus a few more and get the hosts mailing address before you leave. Print ’em for $0.40 cents each at a drug store back in the States and send them as a Thank You to your host. I did this after the dinner in Ghana and she flipped out, she was so so stoked!)
Most importantly,
Have fun!… and be sure to take a few photos of you all gussied up to make your mama proud back home 😉